Contents:
┌──
1.
This record from the Open Molecules 2025 dataset describes a single C5H12S2 molecule. The level of theory is wB97M-V/def2-TZVPD.

The LUMO energy is 0.86 eV. As for the total energy: -994.06089 a.u. The value obtained for the relative energy (zero: lowest compared OMol25 entry of this formula, charge and spin) is 0.446 eV. For the molar mass, the calculation gives 136.285 g/mol. Its SMILES is CCCSSCC.

```
! RIJCOSX wB97M-V def2-TZVPD def2/J DEFGRID3
* xyz 0 1
C -1.0901 1.7051 2.4356
C -0.8867 2.1721 0.9682
C -0.3118 1.1040 0.0363
S 1.4104 0.7286 0.5580
S 2.1092 -0.7746 -0.6509
C 0.6048 -1.6431 -1.2774
C 1.0956 -2.8592 -2.0742
H -1.4016 0.6612 2.4962
H -0.1272 1.7419 2.9316
H -1.7983 2.3384 2.9640
H -1.8384 2.5060 0.5650
H -0.1458 2.9692 0.9986
H -0.3561 1.5540 -0.9644
H -0.8844 0.1846 0.0630
H 0.1220 -0.9591 -1.9887
H -0.0295 -1.8730 -0.4336
H 1.7957 -2.5156 -2.8228
H 1.5171 -3.6375 -1.4057
H 0.2150 -3.4029 -2.3989
*
```

=====

2.
This record from the Open Molecules 2025 dataset describes a molecular structure, C10H24ClINOsP2S. The level of theory is wB97M-V/def2-TZVPD.

The LUMO energy (spin up / spin down) is -11.51 / -14.01 eV. As for the total energy: -2378.52180 a.u. For the molar mass, the calculation gives 604.911 g/mol.

```
! RIJCOSX wB97M-V def2-TZVPD def2/J DEFGRID3
* xyz 3 5
C -1.3810 0.0031 -4.5672
I -1.3042 -0.4298 -2.3639
H -0.3808 0.1212 -4.9625
H -1.9777 0.9077 -4.6497
H -1.8940 -0.8491 -5.0149
Os 0.2528 0.0116 -0.2716
P 0.1582 2.2330 -0.3488
C -1.4988 2.9753 -0.1594
C 1.1434 3.1300 0.9080
H 1.2439 4.1782 0.5904
H 0.8734 4.0555 -1.7779
H 2.1332 2.6627 0.9767
H 1.8507 2.5682 -2.0237
H -1.9151 2.6807 0.8109
H 0.6325 3.0785 1.8766
C 0.8364 2.9624 -1.8802
H -1.4094 4.0681 -0.2052
H 0.2130 2.6894 -2.7408
H -2.1520 2.6182 -0.9625
P 0.1745 -2.2247 -0.0025
C -1.4885 -2.9263 0.2800
C 0.8403 -3.1566 -1.4295
H 2.1548 -2.4382 1.3485
H 1.2691 -4.0004 1.1887
H 0.6568 -2.7279 2.3098
C 1.1689 -2.9184 1.3598
H 1.8462 -2.7786 -1.6503
H 0.8966 -4.2203 -1.1622
H -1.3917 -4.0128 0.3931
H -2.1446 -2.6950 -0.5666
H 0.2023 -3.0269 -2.3121
H -1.9070 -2.4991 1.1988
Cl 2.6463 -0.0089 -0.4067
S -1.1400 0.3070 4.0895
C 0.6222 0.3085 4.0712
C 1.1050 0.2259 2.7930
N 0.0847 0.1613 1.8223
C -1.1433 0.1940 2.3763
H 1.2336 0.3687 4.9588
H 2.1294 0.2004 2.4252
H -2.0453 0.1511 1.7692
*
```

=====

3.
This record from the Open Molecules 2025 dataset describes a single C5H7N molecule. The level of theory is wB97M-V/def2-TZVPD.

The LUMO energy is -0.78 eV. As for the total energy: -249.15187 a.u. The value obtained for the relative energy (zero: lowest compared OMol25 entry of this formula, charge and spin) is 8.745 eV. For the molar mass, the calculation gives 81.118 g/mol.

```
! RIJCOSX wB97M-V def2-TZVPD def2/J DEFGRID3
* xyz 0 1
C 1.3709 -0.9499 -0.3533
C 1.0255 0.1092 0.6978
N -1.1551 0.3902 1.5247
C -0.4790 0.3575 0.3822
C 0.2764 -1.2320 0.4142
C -0.6283 0.6720 -1.1073
H 2.0961 -1.7688 -0.3493
H 1.6340 1.0020 0.6334
H -1.9497 1.0324 1.4171
H -0.2119 -1.6371 1.3000
H 0.3304 1.0649 -1.4501
H -1.5277 1.2205 -1.4213
H -0.7815 -0.2608 -1.6881
*
```

=====

4.
This record from the Open Molecules 2025 dataset describes 2 unconnected molecules or ions with the total composition C6H14N2O2. The level of theory is wB97M-V/def2-TZVPD.

The LUMO energy is 0.55 eV. As for the total energy: -496.87983 a.u. The value obtained for the relative energy (zero: lowest compared OMol25 entry of this formula, charge and spin) is 4.835 eV. For the molar mass, the calculation gives 146.190 g/mol. Its SMILES is CNC(C)=O.CNC(C)=O.

```
! RIJCOSX wB97M-V def2-TZVPD def2/J DEFGRID3
* xyz 0 1
C 2.1540 2.0606 0.4010
N 2.0344 0.8264 -0.3593
C 2.7685 -0.3719 -0.2048
C 2.0628 -1.6150 -0.6387
O 3.9334 -0.3636 0.3007
H 3.1713 2.2471 1.0755
H 1.9811 2.7819 -0.4904
H 1.2438 2.0634 1.1448
H 1.0284 0.6891 -0.3203
H 2.6931 -1.8927 -1.6592
H 0.9602 -1.6080 -0.8540
H 2.3809 -2.6963 -0.1470
C -4.2635 0.4361 -0.5922
N -3.4021 -0.0671 0.4447
C -2.0752 -0.1678 0.1614
└──

What to do:
Please return the lines further up from the one with "1.4104 0.7286" to the one with "-0.9644" without altering anything.

Outcome:
S 1.4104 0.7286 0.5580
S 2.1092 -0.7746 -0.6509
C 0.6048 -1.6431 -1.2774
C 1.0956 -2.8592 -2.0742
H -1.4016 0.6612 2.4962
H -0.1272 1.7419 2.9316
H -1.7983 2.3384 2.9640
H -1.8384 2.5060 0.5650
H -0.1458 2.9692 0.9986
H -0.3561 1.5540 -0.9644